== Input ==
- - -
Entry from the Open Molecules 2025 dataset: 11 unconnected molecules or ions with the total composition C55H124B4F16N7O4 (ωB97M-V/def2-TZVPD).

Computed properties:
Highest occupied orbital energy ... -0.555 hartree
Frontier orbital gap ... 8.48 eV
Charge ... +3
Maximum force ... 5.01 eV/Å

Last column: Mulliken charge in e.
Positions of all 210 atoms, in Å:
C1 -11.184 5.093 25.488  -0.4835
C2 -9.933 4.351 25.251  2.6232
C3 -10.034 2.864 25.573  -0.9606
C4 -8.974 1.951 25.057  -0.3058
C5 -8.980 2.245 23.518  -1.6215
C6 -8.569 3.629 23.136  1.7564
N1 -9.553 4.504 23.771  0.6399
O1 -10.110 5.409 23.255  0.5940
C7 -8.687 3.863 21.615  -2.0196
C8 -7.155 3.976 23.677  -0.6470
C9 -8.736 5.039 26.068  -0.7467
H1 -11.903 4.891 24.753  0.0054
H2 -10.969 6.151 25.511  -0.7662
H3 -11.615 4.740 26.409  -0.1548
H4 -10.965 2.403 25.247  0.3883
H5 -10.068 2.824 26.688  -0.2510
H6 -9.413 0.947 25.099  0.5555
H7 -7.994 2.147 25.485  -0.2810
H8 -10.008 2.118 23.193  0.3352
H9 -8.334 1.559 23.007  0.4771
H10 -7.965 3.229 21.135  0.5482
H11 -8.523 4.897 21.353  0.2691
H12 -9.631 3.566 21.245  0.4297
H13 -6.405 3.715 22.874  0.5462
H14 -6.927 3.467 24.581  -0.2673
H15 -7.024 5.101 23.840  -0.0905
H16 -9.230 5.406 26.964  0.2204
H17 -8.435 5.966 25.501  -0.0520
H18 -7.906 4.437 26.266  0.1938
C10 -7.840 9.032 18.772  -1.7936
C11 -9.176 9.671 18.348  1.1610
C12 -9.857 8.830 17.218  -0.9607
C13 -10.457 7.610 17.832  -0.7627
C14 -11.461 8.010 18.892  -1.0974
C15 -11.040 8.849 20.064  1.9975
N2 -10.019 9.858 19.627  0.8500
O2 -9.845 10.777 20.262  -0.3940
C16 -10.214 7.993 21.059  -0.2251
C17 -12.252 9.588 20.664  -1.6900
C18 -8.808 11.131 17.991  -1.7698
H19 -7.330 9.406 19.666  0.3777
H20 -7.182 9.141 17.914  0.5247
H21 -7.861 7.957 18.919  0.4285
H22 -9.066 8.550 16.538  0.4494
H23 -10.643 9.408 16.749  0.3705
H24 -9.652 6.964 18.175  0.2685
H25 -10.986 7.003 17.080  0.4147
H26 -11.964 7.140 19.364  0.3443
H27 -12.266 8.638 18.397  0.4817
H28 -10.279 8.513 22.016  -0.5830
H29 -9.130 7.917 20.656  0.1620
H30 -10.661 6.957 21.068  0.0140
H31 -12.750 10.175 19.895  0.5305
H32 -11.739 10.344 21.333  0.4693
H33 -12.967 8.956 21.204  0.0777
H34 -9.766 11.696 17.798  0.4373
H35 -8.344 11.160 17.003  0.4274
H36 -8.162 11.682 18.609  0.4463
C19 -14.550 4.599 26.634  -0.6592
C20 -14.956 3.397 25.761  -0.1135
C21 -15.960 3.794 24.683  -0.4621
N3 -16.592 2.671 23.889  0.4178
C22 -15.564 1.689 23.362  -0.4043
C23 -15.996 0.683 22.323  -0.8849
C24 -16.697 1.339 21.111  -0.6891
C25 -17.822 2.216 21.665  -0.8816
C26 -17.208 3.220 22.596  -0.4388
C27 -17.585 1.961 24.675  -1.1152
H37 -13.997 5.304 25.989  -0.2678
H38 -13.807 4.234 27.289  0.1985
H39 -15.287 5.122 27.252  0.7378
H40 -15.270 2.531 26.363  0.4349
H41 -14.060 3.024 25.265  0.0472
H42 -15.335 4.443 24.011  -0.3244
H43 -16.812 4.367 25.022  0.5079
H44 -14.708 2.181 22.894  0.0771
H45 -15.104 1.265 24.235  0.6523
H46 -15.003 0.390 22.029  0.4159
H47 -16.553 -0.150 22.680  0.3555
H48 -15.982 1.967 20.630  0.3138
H49 -17.032 0.585 20.413  0.4140
H50 -18.335 2.810 20.923  0.4357
H51 -18.559 1.528 22.062  0.3303
H52 -16.350 3.656 22.111  0.1805
H53 -17.930 3.998 22.825  0.5845
H54 -17.976 1.094 24.193  0.4536
H55 -18.327 2.627 24.813  0.4646
H56 -17.170 1.623 25.589  0.3124
C28 -3.073 -1.294 29.093  -1.3712
C29 -2.408 -0.817 27.724  -0.3156
C30 -2.057 0.648 27.856  -0.3504
N4 -1.015 1.201 26.875  0.1757
C31 -1.002 2.654 26.954  -0.8078
C32 -2.242 3.156 26.261  0.4738
C33 -2.505 2.826 24.889  -0.7803
C34 -2.570 1.294 24.780  -0.3567
C35 -1.293 0.767 25.462  -0.9360
C36 0.302 0.678 27.320  -0.8366
H57 -3.950 -0.714 29.434  0.2477
H58 -2.385 -1.282 29.923  0.3933
H59 -3.478 -2.287 29.023  0.4435
H60 -3.091 -0.935 26.866  0.3276
H61 -1.519 -1.459 27.594  0.3396
H62 -1.623 0.963 28.815  0.4190
H63 -2.968 1.161 27.679  0.0066
H64 -1.022 2.944 28.025  0.3625
H65 -0.014 2.954 26.505  0.3730
H66 -3.060 2.881 26.971  -0.3542
H67 -2.198 4.252 26.256  0.4157
H68 -3.467 3.212 24.528  0.1935
H69 -1.719 3.083 24.230  0.4066
- - -

== Assignment ==
Please start at the top of the contents further up and transcribe each line, ending with the one that has "C30 -2.057".

== Completed ==
Entry from the Open Molecules 2025 dataset: 11 unconnected molecules or ions with the total composition C55H124B4F16N7O4 (ωB97M-V/def2-TZVPD).

Computed properties:
Highest occupied orbital energy ... -0.555 hartree
Frontier orbital gap ... 8.48 eV
Charge ... +3
Maximum force ... 5.01 eV/Å

Last column: Mulliken charge in e.
Positions of all 210 atoms, in Å:
C1 -11.184 5.093 25.488  -0.4835
C2 -9.933 4.351 25.251  2.6232
C3 -10.034 2.864 25.573  -0.9606
C4 -8.974 1.951 25.057  -0.3058
C5 -8.980 2.245 23.518  -1.6215
C6 -8.569 3.629 23.136  1.7564
N1 -9.553 4.504 23.771  0.6399
O1 -10.110 5.409 23.255  0.5940
C7 -8.687 3.863 21.615  -2.0196
C8 -7.155 3.976 23.677  -0.6470
C9 -8.736 5.039 26.068  -0.7467
H1 -11.903 4.891 24.753  0.0054
H2 -10.969 6.151 25.511  -0.7662
H3 -11.615 4.740 26.409  -0.1548
H4 -10.965 2.403 25.247  0.3883
H5 -10.068 2.824 26.688  -0.2510
H6 -9.413 0.947 25.099  0.5555
H7 -7.994 2.147 25.485  -0.2810
H8 -10.008 2.118 23.193  0.3352
H9 -8.334 1.559 23.007  0.4771
H10 -7.965 3.229 21.135  0.5482
H11 -8.523 4.897 21.353  0.2691
H12 -9.631 3.566 21.245  0.4297
H13 -6.405 3.715 22.874  0.5462
H14 -6.927 3.467 24.581  -0.2673
H15 -7.024 5.101 23.840  -0.0905
H16 -9.230 5.406 26.964  0.2204
H17 -8.435 5.966 25.501  -0.0520
H18 -7.906 4.437 26.266  0.1938
C10 -7.840 9.032 18.772  -1.7936
C11 -9.176 9.671 18.348  1.1610
C12 -9.857 8.830 17.218  -0.9607
C13 -10.457 7.610 17.832  -0.7627
C14 -11.461 8.010 18.892  -1.0974
C15 -11.040 8.849 20.064  1.9975
N2 -10.019 9.858 19.627  0.8500
O2 -9.845 10.777 20.262  -0.3940
C16 -10.214 7.993 21.059  -0.2251
C17 -12.252 9.588 20.664  -1.6900
C18 -8.808 11.131 17.991  -1.7698
H19 -7.330 9.406 19.666  0.3777
H20 -7.182 9.141 17.914  0.5247
H21 -7.861 7.957 18.919  0.4285
H22 -9.066 8.550 16.538  0.4494
H23 -10.643 9.408 16.749  0.3705
H24 -9.652 6.964 18.175  0.2685
H25 -10.986 7.003 17.080  0.4147
H26 -11.964 7.140 19.364  0.3443
H27 -12.266 8.638 18.397  0.4817
H28 -10.279 8.513 22.016  -0.5830
H29 -9.130 7.917 20.656  0.1620
H30 -10.661 6.957 21.068  0.0140
H31 -12.750 10.175 19.895  0.5305
H32 -11.739 10.344 21.333  0.4693
H33 -12.967 8.956 21.204  0.0777
H34 -9.766 11.696 17.798  0.4373
H35 -8.344 11.160 17.003  0.4274
H36 -8.162 11.682 18.609  0.4463
C19 -14.550 4.599 26.634  -0.6592
C20 -14.956 3.397 25.761  -0.1135
C21 -15.960 3.794 24.683  -0.4621
N3 -16.592 2.671 23.889  0.4178
C22 -15.564 1.689 23.362  -0.4043
C23 -15.996 0.683 22.323  -0.8849
C24 -16.697 1.339 21.111  -0.6891
C25 -17.822 2.216 21.665  -0.8816
C26 -17.208 3.220 22.596  -0.4388
C27 -17.585 1.961 24.675  -1.1152
H37 -13.997 5.304 25.989  -0.2678
H38 -13.807 4.234 27.289  0.1985
H39 -15.287 5.122 27.252  0.7378
H40 -15.270 2.531 26.363  0.4349
H41 -14.060 3.024 25.265  0.0472
H42 -15.335 4.443 24.011  -0.3244
H43 -16.812 4.367 25.022  0.5079
H44 -14.708 2.181 22.894  0.0771
H45 -15.104 1.265 24.235  0.6523
H46 -15.003 0.390 22.029  0.4159
H47 -16.553 -0.150 22.680  0.3555
H48 -15.982 1.967 20.630  0.3138
H49 -17.032 0.585 20.413  0.4140
H50 -18.335 2.810 20.923  0.4357
H51 -18.559 1.528 22.062  0.3303
H52 -16.350 3.656 22.111  0.1805
H53 -17.930 3.998 22.825  0.5845
H54 -17.976 1.094 24.193  0.4536
H55 -18.327 2.627 24.813  0.4646
H56 -17.170 1.623 25.589  0.3124
C28 -3.073 -1.294 29.093  -1.3712
C29 -2.408 -0.817 27.724  -0.3156
C30 -2.057 0.648 27.856  -0.3504